Monday 17 January 2011

Douglas Wilson's Letter From America

The Unforgivable Sin of Being Lame

_Calculated molecules, as found in the file_
____________
[1]
ORCA calculation (ωB97M-V/def2-TZVPD) on a molecular structure, C41H45IN3P2Pd.

Positions of all 93 atoms, in Å:
Pd: 0.312 0.195 -0.346
I: 0.050 3.059 -1.242
C: -1.412 4.274 -0.290
C: -1.469 5.517 -0.863
C: -2.343 6.504 -0.388
C: -3.146 6.212 0.669
C: -3.115 4.938 1.279
C: -3.975 4.729 2.379
C: -3.996 3.537 3.031
C: -3.151 2.512 2.591
C: -2.290 2.644 1.518
P: -1.238 1.126 1.295
C: -0.162 1.315 2.775
C: -0.058 2.490 3.514
C: 0.801 2.564 4.603
C: 1.550 1.463 4.982
C: 1.467 0.290 4.244
C: 0.642 0.229 3.134
C: -2.453 -0.178 1.749
C: -3.587 -0.254 0.934
C: -4.519 -1.265 1.100
C: -4.311 -2.248 2.061
C: -3.187 -2.186 2.870
C: -2.269 -1.152 2.725
C: -2.234 3.898 0.816
H: -0.827 5.749 -1.701
H: -2.361 7.477 -0.860
H: -3.828 6.952 1.068
H: -4.610 5.547 2.691
H: -4.641 3.375 3.884
H: -3.168 1.580 3.138
H: -0.632 3.364 3.238
H: 0.872 3.489 5.162
H: 2.209 1.524 5.838
H: 2.056 -0.574 4.528
H: 0.625 -0.656 2.510
H: -3.750 0.515 0.184
H: -5.417 -1.280 0.494
H: -5.031 -3.046 2.189
H: -3.033 -2.932 3.640
H: -1.429 -1.094 3.403
N: -2.642 -3.190 -0.948
C: -2.221 -3.705 -2.264
C: -0.810 -4.330 -2.185
C: 0.301 -3.277 -2.005
N: 0.139 -2.556 -0.712
C: 0.254 -2.293 -3.174
C: -1.096 -1.569 -3.291
N: -1.202 -0.533 -2.231
C: -2.246 -2.594 -3.320
H: -2.855 -3.952 -0.312
H: -3.480 -2.624 -1.016
H: -0.891 -2.556 -0.486
H: -2.924 -4.478 -2.592
H: -0.622 -4.851 -3.125
H: -0.775 -5.077 -1.388
H: 1.282 -3.756 -1.995
H: 0.407 -1.448 -0.739
H: 0.682 -2.988 0.028
H: 0.439 -2.849 -4.096
H: 1.056 -1.562 -3.068
H: -1.118 -1.079 -4.269
H: -2.148 -0.467 -1.875
H: -0.989 0.377 -2.626
H: -2.198 -3.084 -4.294
H: -3.210 -2.078 -3.280
C: 3.719 0.848 1.176
P: 2.660 0.130 -0.136
C: 3.343 -1.576 -0.147
C: 4.266 -2.026 -1.085
C: 4.732 -3.335 -1.040
C: 4.281 -4.205 -0.059
C: 3.366 -3.764 0.888
C: 2.901 -2.458 0.841
C: 3.362 0.876 -1.656
C: 4.646 1.408 -1.746
C: 5.109 1.925 -2.948
C: 4.297 1.928 -4.072
C: 3.007 1.422 -3.992
C: 2.550 0.905 -2.791
H: 4.762 0.585 1.002
H: 3.406 0.451 2.139
H: 3.602 1.932 1.192
H: 4.622 -1.350 -1.852
H: 5.455 -3.672 -1.771
H: 4.650 -5.222 -0.022
H: 3.018 -4.438 1.662
H: 2.206 -2.099 1.596
H: 5.294 1.425 -0.879
H: 6.111 2.329 -3.011
H: 4.661 2.334 -5.006
H: 2.360 1.444 -4.860
H: 1.541 0.518 -2.707

## Properties
Largest force on an atom ... 1.524 eV/A
Charge ... +1
E_HOMO ... -9.35 eV
Lowest unoccupied orbital energy ... -1.91 eV
Frontier orbital gap ... 7.4 eV
Energy above the lowest of the compared OMol25 structures with the same formula, charge and spin ... 0.0 kcal per mole

Atom charges from the Löwdin analysis, given in e for atoms 1 to 2: number 1, Pd, carries 0.005; number 2, I, carries 1.023

=====

[2]
ORCA calculation (ωB97M-V/def2-TZVPD) on a molecular structure, C41H46P2Pt.

Positions of all 90 atoms, in Å:
Pt: 0.013 0.097 4.570
C: -2.210 0.025 5.291
C: -2.067 -0.388 3.954
C: -2.528 0.462 2.782
C: -1.429 1.346 2.150
C: -0.347 1.758 3.112
C: -0.606 2.282 4.406
C: -1.975 2.566 4.966
C: -2.638 1.390 5.737
C: 1.978 0.137 4.191
H: -2.260 -0.747 6.064
____________

Culture and Politics
Written by Douglas Wilson
Wednesday, January 12, 2011

I want to follow up on the concept of cool-shaming. As we are in the process of airing this place out, this word is a key that can unlock a lot of the rooms, especially the mildewed ones.

After my post on cool-shaming, I was contacted by an alert reader (thanks, Eric), who pointed me to this post responding to the Jon Stewart Rally to Restore Sanity. The post is somewhat long, and if you want to read through it, allow me to register a language alert with you. But at the same time, this man's rant-thrust went straight through the breastplate of the too-cool-to-care.

We are dealing with new permutations of this, but the phenomenon has been with us for a while. Think of the essential pose as one of political and cultural engagement as fashion statement. If a moral plugugly like Che Guevara can become an iconic T-shirt presence, then of course somebody is seriously disordered.

But the point for the practitioner is to strike a safe pose, one that cannot be laughed at. And that is why those who figure out a way to laugh at this kind of thing are about the only friends our bedraggled republic even has anymore.

Tom Wolfe is of course deadly with the double barrels, and when he published that clay pigeon entitled Radical Chic and Mau-Mauing the Flak Catchers, this was just his way of yelling, "Pull!" Back in the sixties, radical chic was the practice of wearing radical politics like it was a scarf you could buy on 5th Avenue . . .

Excuse me. I have just been informed that we are living in a post-metaphorical era, and that my use of a metaphor involving a gun may open me up to misunderstanding, and perhaps even to calumny. To all such calumnies, I can only say . . . "Pull!"

Excuse me again. Lest there be any unnecessary distress, allow me to deconstruct my own metaphor and point out that in the illustration the clay targets are the calumnies, which are abstractions, and are not the calumnators themselves.

I want first to make the point that this vice I am talking about is one that Christian moral theology has long been aware of. After that, we can discuss for a moment how this vice has gone viral, and has taken on the widespread cultural identity that it has.

C.S. Lewis, in The Screwtape Letters, has Screwtape explaining to the junior temptor Wormwood how the simple can be taken in on this point.

"But flippancy is the best of all. In the first place it is very economical. Only a clever human can make a real Joke about virtue, or indeed about anything else; any of them can be trained to talk as if virtue were funny. Among flippant people the Joke is always assumed to have been made. No one actually makes it; but every serious subject is discussed in a manner which implies that they have already found a ridiculous side to it" (The Screwtape Letters, p. 56).
Screwtape goes on:

"If prolonged, the habit of Flippancy builds up around a man the finest armour-plating against the Enemy that I know, and it is quite free from the dangers inherent in the other sources of laughter. It is a thousand miles away from joy; it deadens, instead of sharpening, the intellect; and it excites no affection between those who practise it" (The Screwtape Letters, p. 56).
When Lewis was addressing this, he was talking about a vice that an individual might fall into, or a set of bad conversational habits that a circle of acquaintances might allow to take over their discussions. Since that time, in the rise of all our virtual villages, we can see what this vice looks like when millions of people are passing it on like a human wave in a stadium. Ten million see a particular sitcom, and they are all cool-shamed into cringing when that unsympathetic and very greasy character makes that homojoke. Do you doubt what I say? Did you just cringe when I used the word homojoke? You may be a very conservative Christian, and you are with me on the merits, but you still do whatever their laugh track tells you to.

The key is in the unproven assumption that "whatever it is" has already been shown to be uncool, unhip, risible, or filled with hate. Communities, including blogospheric ones, are those which share their assumptions. They communicate their assumptions, one with another. They all partake of them. But some of us want to give those assumptions the raspberry.

So, then, back to Sarah Palin. As we get closer and closer to the next presidential merry-go-round season, I suspect we will all be discussing this a lot more. And I believe that there are substantive arguments to be made concerning Palin, both ways, for and against. I think this would be a good place to have those some of those discussions. Grab a cold one and have a seat. I am open to hear from those who would argue that the woman is a ding dong, or to those who argue that certain of her positions (e.g. her brand of feminism) mean that we should not support her. Have at it. But if you just assume that she is a welterweight because that is what "everybody who really matters already knows," then this attempt at cool-shaming will just make me wonder (out loud) how it is that a welterweight has blackened so many heavyweight eyes so far.

Excuse me. By taking a metaphor from the boxing ring, I am not trying to encourage anyone to resort to violence in the pursuit of their political aims. Don't punch anybody. Neither am I trying to say that a woman in the boxing ring is anything other than an appalling spectacle of the fruitiest and highest order.

There are some stately cottonwoods down the hill from us. Every year, once a year, the air around our house is filled with fluff that blows by us in the breeze. And that is what a lot of the anti-Palin criticism is like so far.

1 comment:

ZenTiger said...

I did a post on Jon Stewart's march for sanity and couldn't quite nail the issue at the back of my mind, but it was done above in just a paragraph. Nailed it.

At the end of my post, I could point to the plea for civil discourse by the people in the march as hinting at nothing more than an elaborate sham. The placards gave them away:

"Real Americans don't use the term 'Real Americans'"

But not big enough for people who describe themselves proudly as patriots.

"Tea parties are for little girls and mad hatters!"

And even moderates can pay no heed to their mantra of "encouraging civility, togetherness, and overall being sane."

Yes, far too many were not there wanting to genuinely tone down the rhetoric, they just want any opposition to their ideas to go away.